Considering Fighters are less Valuable than the ships they are protecting, I can entirely justifying them suiciding.
I've liked the mod so far, however, some issues/comments/suggestions
having trouble telling weapon sizes at a glance. Presumably the icon size scales the same as they do in the refit screen and game screen, but I currently have trouble distinguishing medium from small. I'll get used to it eventually. I also don't recognize half the icons, so yea...
There are only a few small strike weapons. Probably ought to be more. (Found burst lasers early on, quite impressive)
There don't seem to be any small support weapons. I thought the support weapons were the longer ranged, low damage ones. Quite a few, like railgun, were what I expected in this group.
The "Photon Cannon" probably was supposed to be a support weapon, given the tooltip and that it wasn't in vanilla, but costs no flux.
Ammunition limits with regeneration added back in are great. I immediately started using extended magazines again. 24 burst-laser shots are quite nasty. Do most strike weapons use ammo?
Regenerating missiles are also cool. Small clips of 1-3 missiles, holding 1-6 of them is interesting. Given the increase in point defense in general, missiles are a lot more common.
If they don't, ship systems like Flares should also regenerate (and maybe have a cap of 2 instead of 5)
Had fun with a few new weapon types. The shotgun missile is cool, not really sure if it gives anything over alternates.
Zero-flux assault weapons. Interesting approach. However, given that 90% of the weapons I have been able to use seem to be zero-flux, it means that flux is pretty much shield until you have medium weapons, or get lucky and find burst lasers, mortar, etc. Not sure if this is intended. Either way, at least it makes shields stronger in general.
Some frigates, like the hound and wolf seem to have lost their medium weapon slot, which is kind of disappointing. The idea here is to have more, smaller, weapon slots however, so that makes sense. The wolf has more slots in general, and the wolf has those crappy PD drones. Shame that I have trouble finding ships that can carry all the medium weapons around now though, and the lack of support/strike small weapons hurts that.
Found the mining laser. Its medium instead of small now (kinda sensible) and does way more damage. Thought it was a small weapon looking at it (because of the rescale)
Some of the tooltips are wrong as to where they weight their power, I think. Would have to open the game and minimize to get the correct stats, but a doublecheck might be warented.
I'll reread the front page, but I think some of the weapons are too powerful for their assault role.
Assault - Short-Mid range, no flux, low-med damage. (In their face, using all flux for shields)
Support - mid-long range, low flux, low-med damage. (Pressure from a distance, also long-range missiles)
Strike - Short-mid range, mid-high flux, high damage. (Break heavy armor/shielding, requires external power supply from ship)
PD - Short-mid range, no flux, low damage, high accuracy/speed (Deal with missiles/fighters)
As least that was what I got from it when I read it last time.
Shield flux alterations. Not sure I understand it. Do shields not allow dissipating any flux? I didn't observe that. How exactly did the flux stats change to make weapon flux a problem if you have shields up vs vanilla?
I see. Shield upkeep is, for every ship, exactly equal to it's base flux dissipation. So, flux vents provide shield dissipation. If you have none, you can't dissipate at all.
More importantly, Stabilized shields are now significantly more powerful, given they have way more to work with. Interesting.
If you are screwing with weapon range, make sure you check Safety overrides base range. It might need to be adjusted, depending.
Overall, having fun thus far.
Guardian PD laser doesn't seem to be willing to fire unless you do it manually, which defeats the purpose. Not sure why.
I think the changes to the Flux system were the most interesting out of everything, honestly.
It seriously alters how you run a ship, and build it, for that matter.
In vanilla, while you try and get as many powerful weapons as you can, you also try and keep enough OP left over to get as many vents as you can, such that you, hopefully, have a surplus of dissipation so you can run your shields and fire all weapons.
Capacity helps, but is insignificant compared to dissipation in almost all cases.
Not so here. I actually sometimes go for capacity over vents entirely.
The flux-heavy weapons tend to use a LARGE chunk of flux in a short period of time, and getting capacity lets you unleash a very large attack. This comes at the cost of your shields being weakened. This is normal for starsector, but here, flux is more of a shield meter than a weapons meter.
Flux is far more linked to powerful weapons and shields than vanilla.
Being able to just hold shields up without worrying about it cutting into your normal weapons changes things. On the other hand, the, effectively, massive upkeep for shields forces you to drop them a lot more often. Increased armor stats helps with that as well.
The effect is Exaggerated if you have a flux weapon. Shield goes up, you fire off a powerful attack, your shields will only recover very slowly unless you drop them. In vanilla it can generally recover if you stop firing, or slow down at least. Here, not so much. Forces you to backoff after throwing a powerful blow, moreso than vanilla.
Oh, and run away from the swarm of fighters that jumps on you for daring to attack their charge.
Plus, the distinction between hard and soft flux is significantly reduced.
I would note that some ships have no shields, and since small weapons that use flux are currently very rare, it is quite possible to have a ship that doesn't use flux at all.
I've seen that in other mods, but here it is much more common.
Not really sure how to resolve that part, aside from adding more strike/support weapons, or converting existing ones.
Missiles are a lot more fun, and feel like an active part of the game instead of trump cards. Being able to sustain missile fire, while it not being silly OP is quite fun.
No. 1
Entry from the Materials Project: an optimized crystal structure of LiMnPO4 (PBE with a Hubbard U).

## Properties
* largest piezoelectric modulus: 0.45 C/m2
* symmetry: Pna2_1, No. 33

```
28
Lattice="11.195 0.000 0.000 0.000 6.328 0.000 0.000 0.000 5.229" Properties=species:S:1:pos:R:3 pbc="T T T"
Li 1.877 0.128 0.000
Li 3.720 3.292 2.615
Li 7.474 3.035 0.000
Li 9.318 6.199 2.615
Mn 0.903 1.862 2.589
Mn 4.694 5.026 5.204
Mn 6.500 1.302 2.589
Mn 10.292 4.466 5.204
P 2.005 3.306 5.223
P 3.592 0.142 2.608
P 7.602 6.186 5.223
P 9.190 3.022 2.608
O 1.130 4.563 4.886
O 1.307 2.033 4.638
O 2.098 3.168 1.535
O 2.170 0.295 1.993
O 3.427 3.459 4.608
O 3.499 0.004 4.150
O 4.290 5.197 2.023
O 4.468 1.400 2.272
O 6.727 4.928 4.886
O 6.904 1.131 4.638
O 7.696 6.324 1.535
O 7.768 2.869 1.993
O 9.024 6.033 4.608
O 9.096 3.160 4.150
O 9.887 4.295 2.023
O 10.065 1.764 2.272
```

***

No. 2
Entry from the Materials Project: an optimized crystal structure of LiMnPO4 (PBE with a Hubbard U).

## Properties
* symmetry: Pc, No. 7

```
28
Lattice="8.241 0.000 0.000 0.000 5.334 0.000 -2.372 0.000 8.272" Properties=species:S:1:pos:R:3 pbc="T T T"
Li 0.000 0.859 0.000
Li -1.186 4.475 4.136
Li 2.472 1.729 5.534
Li 3.658 3.605 1.398
Mn -0.087 1.811 2.959
Mn -1.273 3.523 7.095
Mn 4.977 0.941 0.456
Mn 3.792 4.393 4.592
P 2.448 0.935 2.426
P 1.262 4.398 6.562
P 5.695 1.705 5.161
P 6.881 3.629 1.025
O -1.850 1.597 6.552
O -0.664 3.736 2.416
O 1.240 0.987 1.447
O 0.054 4.347 5.583
O 1.886 1.603 3.721
O 0.700 3.731 7.858
O 1.737 0.518 6.871
O 2.923 4.816 2.735
O 3.658 1.726 1.849
O 2.472 3.608 5.985
O 4.325 0.998 5.208
O 5.511 4.335 1.072
O 6.724 2.088 0.730
O 5.538 3.245 4.866
O 6.581 1.049 4.064
O 5.395 4.285 8.201
```

***

No. 3
Entry from the Materials Project: an optimized crystal structure of LiMnP2O7 (PBE with a Hubbard U).

## Properties
* symmetry: P1, No. 1

```
88
Lattice="9.751 0.000 0.000 -0.038 9.754 0.000 -2.280 -0.042 10.937" Properties=species:S:1:pos:R:3 pbc="T T T"
Li 0.000 0.000 0.000
Li -0.818 5.966 4.630
Li -0.520 2.965 5.621
Li 2.498 2.822 10.930
Li 4.033 6.570 4.646
Li 4.332 9.456 5.562
Li 5.262 4.695 10.143
Li 5.812 7.633 10.361
Mn -0.508 7.977 7.039
Mn 1.126 5.854 1.571
Mn -0.038 1.090 8.827
Mn 1.296 3.050 3.282
Mn 4.370 4.485 6.997
Mn 5.824 6.534 1.505
Mn 4.760 1.684 8.795
Mn 6.143 9.397 3.234
P -0.663 0.294 4.390
P -1.693 5.834 9.389
P 1.413 5.284 6.001
P 2.640 1.005 0.987
P 1.660 3.103 7.991
P 3.167 8.158 2.412
P 2.570 9.254 8.014
P 4.129 4.543 2.362
P 3.074 6.589 9.398
P 4.223 2.398 4.381
P 6.282 7.161 5.999
P 7.495 1.780 0.952
P 6.539 9.331 8.009
P 8.092 4.348 2.377
P 7.472 3.200 8.009
P 8.936 7.953 2.338
O -1.633 4.644 8.300
O -1.611 2.216 8.994
O -0.084 4.238 2.054
O -0.290 9.309 3.018
O 0.013 6.799 2.974
O -0.091 1.694 4.250
O -0.971 7.001 8.684
O -0.113 9.254 5.557
O -0.941 5.335 10.640
O 0.715 4.407 4.927
O -0.424 0.446 10.667
O 0.668 6.599 6.161
O 1.788 2.114 1.652
O 0.773 2.055 7.251
O 1.211 4.530 7.421
O 1.045 9.234 8.392
Hunters are very nice support weapons, throwing missiles at massive flux cost. (Got a pair onto a Kite, which it can only just support)
A lot of missiles go for engines, which I suppose makes sense. Even non-EMP missiles.
Strike, missile, support weapons seem to have magazines most of the time. If you have the flux to support them, grabbing the expanded ammo hull mods works great.
Missiles just being part of this category makes them less exotic, and being able to burst-fire followed by reloading changes the flow of combat.
I was surprised to learn that the Tachyon Lance now has a 60 second cooldown. Given it's power, I can't exactly disagree, given what firing 4 of them at an onslaught does (in the forlorn hope mission)
Scaled weapons
I understand how this works better now.
In effect, you reclassified weapons. Small weapons either stayed small and got weaker/smaller, or were reclassified as medium. same as medium to large. And then you added in more extra-small weapons.
Now that I understand that it makes more sense.
Not sure if intended, but trying to intimidate pirates tends to not work sometimes, because your reputation is bad. As in, hated. They refuse to help you. I'm not asking for help. I am threatening to kill them if they don't give up their cargo. A negative reputation should help there.
That's a ton of detailed feedback thank you for taking the time to write all of that!
To summarize a response:
- On combat, thank you for your descriptions and I'm really happy the system seems to be working as designed! I was definitely going for a tactical "Charge, strike, retreat, cover retreat, reload, strike again" feel. The strike weapons give emphasis to the "Eliminate" command too. Seeing multiple bomber wings, long range missiles and close-range strikes converge on single target is intended to have a visceral satisfaction attached to it. And with total fighter strength meaning more, the loss of a carrier or support ship providing long range pressure can immediately shift the balance of power during a battle.
- I would say you are absolutely right on the lack of small strike options. I feel that this is made worse by the fact that the one's that
do exist are mostly restricted to hi-tech missiles and energy weapons, so especially in the early game where ballistics are more accessible it is a lot more noticeable. I will design and add a few more to help close that gap! Thanks!
- I am planning on adding a new sound effect to the Tachyon Lance to audibly reflect its... capabilities.

- Guardian PD laser is flagged as "Missile Only" - I
think I put a blurb in the description about it, but not sure so sorry if I didn't. It should only fire at missiles. It would be way, way too strong if it targeted fighters and other ships automatically. It has higher DPS than most other weapons, for 0-flux, with pinpoint accuracy that, with hullmods, can be extended to 600-700 range. Now, that being said, if some hot-shot pilot decided to manually override the weapon's targeting protocols and unleash hell on some unsuspecting pirate foolish enough to try and attack their defense-oriented Venture... who am I to judge such an ad-hoc strategy?
- Intimidating factions that are "Vengeful" to you will often, or always, fail depending on the faction. This is intentional, both in an immersion sense (they hate you at this point, so even death isn't enough of a reason for them to willingly aid you in attacking their buddies in the future) and because otherwise you could go around harvesting weaker fleets of hostile factions AND any fleets you have higher rep with.
You would never spend a credit on supplies or fuel in markets that way. You can probably almost do this as it is, eventually, but the system was more meant to be a supplement to market based resupply, with the added risk of lowered reputation or irritating allies if you are too pesky with it- or oftentimes having to pay, with a mark-up for the goods with neutral, cautious, or stingy factions/commanders. Trading rep for supplies/fuel instead of credits, as it were. Demanding those goods, similarly, is for pirate/intimidation-minded players to have a way to better pursue that role- balanced by measured use of it. Don't force compliance too much/often or you will pass the threshold where it will be effective anymore. Or, if you take their goods then keep attacking their fleets anyway, eventually they will no longer be willing to comply.
**EDIT** An issue with this could be that the dialogue describing what is going on in this particular interaction is confusing. It doesn't really adequately tell you why you are being refused. I'll look into that, thanks!
- On:
I think the changes to the Flux system were the most interesting out of everything, honestly.
Aw, really, not evil, tribute-demanding vampire barons?!

I joke, I basically built this around combat to start. The factions honestly just kind of happened as a natural extension of it once the weapons were in place. The story and lore were last.
Again thank you for all the feedback!